Read Devil's Island Page 18

  Chapter 13

  Sam was running before he even knew why. Tamara’s scream hit a nerve in him and propelled his feet forward while his brain tried to cope with the images the blood curdling yell created. He knew that type of scream. Only someone in terrible pain was capable of making it. His officer had made a sound similar to it as he lay dying with his arms torn from his body.

  The reflexes he'd tried to drink away took over. Unfortunately, the last time he'd used them he didn't need to accommodate a prosthetic leg. The artificial foot hit a patch of sand wrong and twisted the straps on his leg to throw him off balance. The next thing he knew he was tumbling down the incline. The sand worked its way into his clothes, hair, and mouth but other than a few scrapes it kept him from hurting himself.

  “Are you okay?” Alex asked as she helped him to his feet. He spit the gritty sand from his mouth and looked down at her. He hadn’t known the other girls were following him. He shook his head and ignored her question. Sam straightened his fake foot and started running again. This prosthetic wasn’t designed for moving fast and he almost went down twice more before reaching the crowd that’d begun gathering around Tamara and the cop leaning over her.

  “Tamara!” Sam cried, seeing her on her back, eyes closed. He couldn’t tell if she was breathing or not. What happened? Why wasn’t she moving?

  At his voice, the young woman stirred and sat up. Confusion filled her gaze as she took in everyone gathered around her. Then her eyes hit him and stayed locked with his. Her shoulder slumped down and she visibly relaxed.

  “Tamara, are you alright?” Sam asked her, dropping next to her. She reached out for him, and he pulled her into a tight hug.

  “I take it you know this young woman?” a cop asked. Sam turned to take a good look at the officer, taking in his Hispanic coloring and gentle face. His name read T. Gomez on his chest.

  “Yeah,” he told Gomez. “What happened?” Tamara was shaking in his arms. He’d never seen her act like this before. She'd always seemed so strong in the past.

  “Then I’ll leave her in your hands,” Gomez told him. The cop stood and walked away without answering Sam’s question. “Johnson! I want these people pushed back. We don’t need anyone else passing out after seeing this shit.”

  Sam looked around, trying to make sense of what happened since Tamara was nearly catatonic. He saw Adrian and gave a quick nod of his head to the younger man.

  “She looked at the satanic ritual site over there and just lost it,” Adrian answered his unasked question.

  Tamara moaned in his arms, hugging him tighter.

  “Ritual site?” Sam asked, then looked beyond the other man. It made sense now that he thought about it. Once he looked past the blood and bones to the patterns drawn in the sand, coupled with the black candles, it made sense. At least, it did as far as he knew of such things.

  “That’s what the cops are calling it,” Adrian answered.

  “I’m telling you I’m fine, Subie,” Brock stated firmly, and Sam saw the large man try to hold her at arm’s length. Sam wondered about his actions. Considering how much the two tended to show public affection, why was he holding her back now? Was it because he didn’t want to be seen comforted by a woman? “It was Tamara that screamed. Then she started swinging at us like we were attacking her.”

  Sam put his arm under Tamara’s legs, set his good leg, and lifted her up while standing. He had to catch his balance, his prosthetic working as he desired for once. Despite her body going from anorexic to beautiful in only a couple days, she still felt light in his arms.

  “I’m taking Tamara home,” Sam told Tamara’s friends.

  “Do you need any help?” Adrian offered.

  Alex and Adrian both faced him. Sam could tell from the anxious way Alex kept looking at Adrian that she didn’t want to be alone, but the solid man ignored her.

  “No, I can handle this,” Sam told them. “You two stay and help Brock and Subie.”

  “Hold on a sec,” Adrian said, then turned to Alex. “You have a pen and something to write on?” Alex searched in her purse for only a second before pulling out the requested items. Adrian took them and hastily scrawled something. “Here. Call me if you need anything.”

  Sam awkwardly took the paper, seeing that it had the man’s phone number on it. “Thanks,” he told them. Sam turned and began walking up the beach, careful of each step he took. He really didn’t feel like kissing the sand again tonight.

  Once he was back to his car, he almost wished he’d taken Adrian and Alex up on their offer of help. Tamara refused to let go of him even when he struggled to put her in the passenger side. He finally convinced her to sit there and wait for him. By the time he raced around the car and climbed in the driver's seat she'd curled in a fetal position and was shivering again.

  He wondered why she had been affected as much as she had by that place. Was it something in her past? As bad as Sam’s past had been, it hadn’t bothered him nearly as much. Then again, he knew his past. Shitty as it was, at least he could remember it. Maybe she'd seen something like that before?

  “It’s okay,” Sam soothed her. He reached across to lay her hand on her thigh. She twisted in her seat and grabbed onto his hand and threatened to dislocate his shoulder as she pulled on it. “I’ll be right here. I just need to get—oomph.” He grunted as she stopped pulling on him and pushed herself across the console to press her lips to his as she slipped her arms around his neck and held him prisoner against her. The kiss wasn’t filled with lust or need like her past embraces had been. There was no tongue involved, just the firm press of their lips.

  Tamara’s arms slipped from around his neck and he jerked back, knocking his head hard on the roof of his car.

  “Don’t leave me, Sam.” The simple words hit something deep inside him. Tamara turned away from him, huddling into the seat.

  “I won’t,” he told her softly, reaching out to touch her head. He hesitated before making contact and pulled back. It occurred to him that now would be the perfect opportunity to drive her away. All he had to do was be cruel to her right now while she was vulnerable.

  He couldn’t do it. He knew she was going to wise up and leave him sooner or later. Right then, looking at her as she shivered in the fetal position in his car, he knew he couldn’t bring himself to do that to her.

  He leaned back and started the car. As soon as he put it in gear Tamara reached out to him and gripped his thigh.

  That’s when Sam knew he wasn’t going to push her away. He was going to pay for it down the road he had no doubt, but he couldn’t hurt her. Somehow in only a few short days she’d made herself a part of his life.

  The drive home was quiet. Tamara willingly got out on her own and even walked inside. Sam worried about her not talking, but knew she needed time. He wanted to know what shook her up so bad, but he had to give her space. If anyone knew trauma, it was him. His eyes went to his cupboard and he wondered if maybe she'd like a drink. He sure could use one.

  He shook his head and turned away. "That's the last thing we need," he muttered. If he got drunk and she was fucked up he'd make things worse. He always did. Maybe just this once he should try facing his problems instead of hiding from them. He took a deep breath, held it for a moment, and then let it out. He went to his room while Tamara was in the bathroom. He was scared, but he felt good too.

  Something had changed. He felt needed. He felt like he had a purpose. He nodded his head and realized he was almost smiling. Almost. He relaxed his face and turned to get ready for bed.

  Tamara came out of the bathroom a few moments later. She turned to look at him in the doorway, hope and pain mixed in her eyes.

  “Stay with me,?” she asked. She didn’t wait for an answer before walking in. Sam hesitated, unsure of what he should say or do. She had that long shirt on again with Bill Murray's face on it. It fell past her hips just far enough he couldn't tell if she had any shorts or panties on. She pulled the sheets back and looked a
t him, waiting for an answer.

  Sam swallowed and wondered where the good feelings he'd had a few moments ago had gone. He was nervous. Did he dare let her sleep with him? He wasn't afraid of wanting her, he was afraid he'd be taking advantage of her. His mouth was dry and he turned to stare out the door to his kitchen. He couldn't do this, not without a drink to numb his mind.

  "Please?" she whispered. "No sex. I just, um, I just need to—"

  Sam's heart slammed in his chest when she looked away and fresh tears fell onto his sheets.

  "I'll go," she breathed and turned away.

  "No," Sam croaked. He coughed and cleared his throat. What the fuck was he doing? "Stay."

  She looked up at him and smiled through a sniffle. She crawled into bed and waited for him to take off his leg and strip down to his boxers. He slipped in beside her and lay there stiff as a board. Tamara moved over and pulled the sheets up to cover them, then molded herself to fit against his body and lay her head on his chest.

  "I need to feel like somebody cares about me," she whispered.

  Sam grunted and let his arm wrap around her back. He gave her a squeeze.

### Next to the article, the page also holds crystal structures
First-principles (GGA-PBE) data for an optimized crystal structure of EuN2, as listed in the Materials Project database.

Cell: 6.7669 6.7669 6.7669 Å, 140.85 140.85 56.57°
Element x y z (fractional)
1 Eu 0.3750 0.6250 0.7500
2 Eu 0.6250 0.3750 0.2500
3 N 0.1779 0.4279 0.7500
4 N 0.4279 0.1779 0.2500
5 N 0.5721 0.8221 0.7500
6 N 0.8221 0.5721 0.2500

Computed properties:
Total energy = -8.015 eV/atom
Total magnetization = 6.10 μB per cell

First-principles (GGA-PBE) data for an optimized crystal structure of EuN, as listed in the Materials Project database.

Cell: 3.5913 3.5913 3.5913 Å, 60.00 60.00 60.00°
Element x y z (fractional)
1 Eu 0.0000 0.0000 0.0000
2 N 0.5000 0.5000 0.5000

Computed properties:
Total energy = -10.124 eV/atom

First-principles (GGA-PBE) data for an optimized crystal structure of EuNbNO2, as listed in the Materials Project database.

Cell: 4.0543 4.0543 4.1051 Å, 90.00 90.00 90.00°
Element x y z (fractional)
1 Eu 0.0000 0.0000 0.0000
2 Nb 0.5000 0.5000 0.5000
3 N 0.5000 0.5000 0.0000
4 O 0.0000 0.5000 0.5000
5 O 0.5000 0.0000 0.5000

Computed properties:
Total energy = -9.857 eV/atom
Total magnetization = 6.87 μB per cell


This record from Materials Project describes an optimized crystal structure of Ba11Bi9O30. The functional is PBE-GGA.

Results
Calculated volume (Å³/atom): 17.55
Crystal system: triclinic
Raw total energy (eV per atom): -5.94
ΔH_f (0 K) (eV/atom): -2.2631

Lattice parameters (Å, degrees): 8.8828 10.7817 10.9030 81.09 66.28 66.62
With the nearest neighbours (Å) after each atom.
Space group P-1 (No. 2)
Inequivalent atoms, fractional coordinates:
Ba 0.0000 0.0000 0.0000 (multiplicity 1)  6 O 2.50-2.53
Ba 0.0473 0.3057 0.1031 (multiplicity 2)  6 O 2.74-3.04
Ba 0.1488 0.8972 0.3054 (multiplicity 2)  3 O 2.70-2.82
Ba 0.2499 0.5011 0.5018 (multiplicity 2)  4 O 2.71-3.01
Ba 0.3508 0.0987 0.6998 (multiplicity 2)  3 O 2.69-2.72
Ba 0.4545 0.6984 0.9005 (multiplicity 2)  4 O 2.73-3.05
Bi 0.0992 0.5949 0.2049 (multiplicity 2)  6 O 2.08-2.20
Bi 0.2015 0.1987 0.4007 (multiplicity 2)  6 O 2.28-2.33
Bi 0.3078 0.7952 0.5944 (multiplicity 2)  6 O 2.09-2.21
Bi 0.3970 0.4010 0.8020 (multiplicity 2)  6 O 2.30-2.35
Bi 0.5000 0.0000 0.0000 (multiplicity 1)  6 O 2.07-2.23
O 0.0012 0.2068 0.8560 (multiplicity 2)  1 Bi 2.08
O 0.0071 0.3360 0.5880 (multiplicity 2)  2 Bi 2.19-2.33
O 0.0495 0.7872 0.6273 (multiplicity 2)  2 Bi 2.21-2.31
O 0.1454 0.4314 0.7647 (multiplicity 2)  2 Bi 2.19-2.32
O 0.1997 0.3850 0.2698 (multiplicity 2)  2 Bi 2.20-2.28
O 0.2076 0.5213 0.9986 (multiplicity 2)  2 Bi 2.19-2.31
O 0.2100 0.0038 0.5214 (multiplicity 2)  2 Bi 2.21-2.29
O 0.2162 0.8628 0.7898 (multiplicity 2)  1 Bi 2.09
O 0.2620 0.9771 0.0479 (multiplicity 2)  1 Bi 2.07
O 0.3567 0.6038 0.1678 (multiplicity 2)  2 Bi 2.20-2.32
O 0.3921 0.2078 0.9286 (multiplicity 2)  2 Bi 2.21-2.32
O 0.3996 0.0774 0.2070 (multiplicity 2)  2 Bi 2.23-2.30
O 0.4012 0.5883 0.6603 (multiplicity 2)  2 Bi 2.17-2.35
O 0.4111 0.7292 0.3876 (multiplicity 2)  2 Bi 2.18-2.30

  "Do you?"

  "Do I what?"

  "Care?" she tilted her head up and looked at him.

  He swallowed the lump in his throat down again and nodded. "Yeah," he whispered. "I care. You're all I’ve got anymore. "